_What to do_
The reader should print the data below from the first line to the one with "0.074 0.444" without altering anything.

_Entries_
........
Entry 1:
Ti2In3Br9 after structural relaxation. Source: the Materials Project, functional PBE.

a = 7.518 Å, b = 7.518 Å, c = 18.448 Å
α = 90.00°, β = 90.00°, γ = 120.00°
Fractional positions:
1 Br 0.828 0.656 0.413
2 Br 0.173 0.346 0.585
3 Br 0.989 0.494 0.249
4 Br 0.172 0.828 0.913
5 Br 0.344 0.172 0.413
6 In 0.667 0.333 0.553
7 Ti 0.333 0.667 0.835
8 In 0.333 0.667 0.452
9 Br 0.656 0.828 0.913
10 Br 0.827 0.654 0.085
11 Br 0.494 0.506 0.749
12 Ti 0.667 0.333 0.335
13 Br 0.346 0.173 0.085
14 Br 0.654 0.827 0.585
15 In 0.000 0.000 0.274
16 In 0.667 0.333 0.952
17 Br 0.828 0.172 0.413
18 In 0.333 0.667 0.053
19 Br 0.172 0.344 0.913
20 Br 0.506 0.011 0.249
21 Br 0.506 0.494 0.249
22 In 0.000 0.000 0.774
23 Br 0.173 0.827 0.585
24 Ti 0.333 0.667 0.662
25 Br 0.827 0.173 0.085
26 Br 0.494 0.989 0.749
27 Br 0.011 0.506 0.749
28 Ti 0.667 0.333 0.162

***

Entry 2:
KCr5Se8 after structural relaxation. Source: the Materials Project, functional PBE.

a = 9.666 Å, b = 9.666 Å, c = 9.112 Å
α = 75.26°, β = 75.26°, γ = 22.04°
Fractional positions:
1 Se 0.171 0.171 0.511
2 Se 0.425 0.425 0.155
3 Se 0.914 0.914 0.829
4 K 0.500 0.500 0.500
5 Cr 0.000 0.000 0.000
6 Se 0.575 0.575 0.845
7 Cr 0.341 0.341 0.981
8 Cr 0.704 0.704 0.666
9 Cr 0.296 0.296 0.334
10 Se 0.239 0.239 0.843
11 Se 0.761 0.761 0.157
12 Cr 0.659 0.659 0.019
13 Se 0.829 0.829 0.489
14 Se 0.086 0.086 0.171

***

Entry 3:
Cd2GaCuSe4 after structural relaxation. Source: the Materials Project, functional PBE.

a = 7.263 Å, b = 7.263 Å, c = 7.263 Å
α = 131.87°, β = 131.87°, γ = 70.44°
Fractional positions:
1 Cd 0.750 0.250 0.500
2 Cd 0.250 0.750 0.500
3 Cu 0.000 0.000 0.000
4 Se 0.860 0.361 0.000
5 Se 0.639 0.639 0.499
6 Ga 0.500 0.500 0.000
7 Se 0.361 0.860 0.000
8 Se 0.140 0.140 0.501

***

Entry 4:
Tb11CuSe16 after structural relaxation. Source: the Materials Project, functional PBE.

a = 8.697 Å, b = 8.783 Å, c = 17.402 Å
α = 90.00°, β = 90.00°, γ = 90.00°
Fractional positions:
1 Se 0.678 0.318 0.284
2 Se 0.428 0.928 0.838
3 Se 0.807 0.834 0.467
4 Se 0.933 0.082 0.154
5 Se 0.179 0.682 0.714
6 Se 0.178 0.682 0.216
7 Tb 0.752 0.998 0.819
8 Tb 0.500 0.876 0.000
9 Se 0.816 0.805 0.963
10 Se 0.821 0.682 0.286
11 Se 0.935 0.433 0.591
12 Tb 0.252 0.513 0.561
13 Se 0.928 0.072 0.662
14 Se 0.435 0.567 0.909
15 Tb 0.252 0.002 0.681
16 Se 0.065 0.433 0.409
17 Se 0.693 0.166 0.967
18 Se 0.184 0.805 0.037
19 Se 0.567 0.918 0.654
20 Tb 0.752 0.487 0.939
21 Tb 0.248 0.998 0.181
22 Se 0.572 0.928 0.162
23 Tb 0.000 0.124 0.500
24 Se 0.307 0.166 0.033
25 Se 0.822 0.682 0.784
26 Tb 0.248 0.487 0.061
27 Se 0.679 0.318 0.786
28 Se 0.322 0.318 0.716
29 Se 0.193 0.834 0.533
30 Tb 0.502 0.626 0.748
31 Se 0.565 0.567 0.091
32 Tb 0.135 0.751 0.377
33 Tb 0.375 0.237 0.376
34 Tb 0.498 0.626 0.252
35 Se 0.316 0.195 0.537
36 Tb 0.625 0.237 0.624
37 Tb 0.875 0.763 0.124
38 Tb 0.365 0.249 0.877
39 Se 0.433 0.918 0.346
40 Se 0.074 0.444 0.908
41 Se 0.684 0.195 0.463
42 Se 0.072 0.072 0.338
43 Cu 0.500 0.876 0.500
44 Tb 0.002 0.374 0.752
45 Se 0.067 0.082 0.846
46 Tb 0.748 0.513 0.439
47 Tb 0.125 0.763 0.876
48 Tb 0.635 0.249 0.123
49 Se 0.426 0.556 0.408
50 Se 0.574 0.556 0.592
51 Se 0.321 0.318 0.214
52 Tb 0.998 0.374 0.248
53 Cu 0.000 0.124 0.000
54 Tb 0.865 0.751 0.623
55 Se 0.926 0.444 0.092
56 Tb 0.748 0.002 0.319

***

Number 1: ΔH_f (0 K) -1327 meV per atom, E_tot -3.754 eV/atom. Number 2: ΔH_f (0 K) -912 meV per atom, E_tot -6.167 eV/atom. Number 3: ΔH_f (0 K) -765 meV per atom, E_tot -3.399 eV/atom. Number 4: ΔH_f (0 K) -1969 meV per atom, E_tot -5.664 eV/atom.

----------

Entry 1:
Density functional theory data (PBE) for an optimized crystal structure of Ga2Se3.

Output
Energy of formation: -0.858 eV/atom
Total DFT energy (no corrections): -3.88 eV per atom
Symmetry: Imm2 (44)

Cell: 6.869 6.869 6.869 Å, 146.98 130.18 61.07°
Positions (direct):
Ga 0.330 0.339 0.991
Ga 0.652 0.661 0.991
Se 0.597 0.837 0.759
Se 0.922 0.163 0.759
Se 0.249 0.500 0.749

---

Entry 2:
........

_Outcome_
Entry 1:
Ti2In3Br9 after structural relaxation. Source: the Materials Project, functional PBE.

a = 7.518 Å, b = 7.518 Å, c = 18.448 Å
α = 90.00°, β = 90.00°, γ = 120.00°
Fractional positions:
1 Br 0.828 0.656 0.413
2 Br 0.173 0.346 0.585
3 Br 0.989 0.494 0.249
4 Br 0.172 0.828 0.913
5 Br 0.344 0.172 0.413
6 In 0.667 0.333 0.553
7 Ti 0.333 0.667 0.835
8 In 0.333 0.667 0.452
9 Br 0.656 0.828 0.913
10 Br 0.827 0.654 0.085
11 Br 0.494 0.506 0.749
12 Ti 0.667 0.333 0.335
13 Br 0.346 0.173 0.085
14 Br 0.654 0.827 0.585
15 In 0.000 0.000 0.274
16 In 0.667 0.333 0.952
17 Br 0.828 0.172 0.413
18 In 0.333 0.667 0.053
19 Br 0.172 0.344 0.913
20 Br 0.506 0.011 0.249
21 Br 0.506 0.494 0.249
22 In 0.000 0.000 0.774
23 Br 0.173 0.827 0.585
24 Ti 0.333 0.667 0.662
25 Br 0.827 0.173 0.085
26 Br 0.494 0.989 0.749
27 Br 0.011 0.506 0.749
28 Ti 0.667 0.333 0.162

***

Entry 2:
KCr5Se8 after structural relaxation. Source: the Materials Project, functional PBE.

a = 9.666 Å, b = 9.666 Å, c = 9.112 Å
α = 75.26°, β = 75.26°, γ = 22.04°
Fractional positions:
1 Se 0.171 0.171 0.511
2 Se 0.425 0.425 0.155
3 Se 0.914 0.914 0.829
4 K 0.500 0.500 0.500
5 Cr 0.000 0.000 0.000
6 Se 0.575 0.575 0.845
7 Cr 0.341 0.341 0.981
8 Cr 0.704 0.704 0.666
9 Cr 0.296 0.296 0.334
10 Se 0.239 0.239 0.843
11 Se 0.761 0.761 0.157
12 Cr 0.659 0.659 0.019
13 Se 0.829 0.829 0.489
14 Se 0.086 0.086 0.171

***

Entry 3:
Cd2GaCuSe4 after structural relaxation. Source: the Materials Project, functional PBE.

a = 7.263 Å, b = 7.263 Å, c = 7.263 Å
α = 131.87°, β = 131.87°, γ = 70.44°
Fractional positions:
1 Cd 0.750 0.250 0.500
2 Cd 0.250 0.750 0.500
3 Cu 0.000 0.000 0.000
4 Se 0.860 0.361 0.000
5 Se 0.639 0.639 0.499
6 Ga 0.500 0.500 0.000
7 Se 0.361 0.860 0.000
8 Se 0.140 0.140 0.501

***

Entry 4:
Tb11CuSe16 after structural relaxation. Source: the Materials Project, functional PBE.

a = 8.697 Å, b = 8.783 Å, c = 17.402 Å
α = 90.00°, β = 90.00°, γ = 90.00°
Fractional positions:
1 Se 0.678 0.318 0.284
2 Se 0.428 0.928 0.838
3 Se 0.807 0.834 0.467
4 Se 0.933 0.082 0.154
5 Se 0.179 0.682 0.714
6 Se 0.178 0.682 0.216
7 Tb 0.752 0.998 0.819
8 Tb 0.500 0.876 0.000
9 Se 0.816 0.805 0.963
10 Se 0.821 0.682 0.286
11 Se 0.935 0.433 0.591
12 Tb 0.252 0.513 0.561
13 Se 0.928 0.072 0.662
14 Se 0.435 0.567 0.909
15 Tb 0.252 0.002 0.681
16 Se 0.065 0.433 0.409
17 Se 0.693 0.166 0.967
18 Se 0.184 0.805 0.037
19 Se 0.567 0.918 0.654
20 Tb 0.752 0.487 0.939
21 Tb 0.248 0.998 0.181
22 Se 0.572 0.928 0.162
23 Tb 0.000 0.124 0.500
24 Se 0.307 0.166 0.033
25 Se 0.822 0.682 0.784
26 Tb 0.248 0.487 0.061
27 Se 0.679 0.318 0.786
28 Se 0.322 0.318 0.716
29 Se 0.193 0.834 0.533
30 Tb 0.502 0.626 0.748
31 Se 0.565 0.567 0.091
32 Tb 0.135 0.751 0.377
33 Tb 0.375 0.237 0.376
34 Tb 0.498 0.626 0.252
35 Se 0.316 0.195 0.537
36 Tb 0.625 0.237 0.624
37 Tb 0.875 0.763 0.124
38 Tb 0.365 0.249 0.877
39 Se 0.433 0.918 0.346
40 Se 0.074 0.444 0.908